(Source)
'''
# 1
AgSbP2O8: theoretical X-ray diffraction stick pattern (Cu Kα, 1.54184 Å), based on DFT lattice parameters and positions (PBE).

Crystal structure
Unit cell a=4.8000 b=4.8000 c=8.1645 alpha=90.00 beta=90.00 gamma=120.00
Space group P-3 (No. 147)
Symmetry-distinct sites (fractional):
Ag 0.0000 0.0000 0.0000 [1 per cell]
Sb 0.0000 0.0000 0.5000 [1 per cell]
P 0.3333 0.6667 0.7195 [2 per cell]
O 0.0435 0.3491 0.6477 [6 per cell]
O 0.3333 0.6667 0.9029 [2 per cell]

Top 10 peaks for 5 to 70 degrees two-theta, by intensity:
h k l	d (Å)	2theta	I/Imax
0 1 2	2.913	30.70	100
1 0 0	4.157	21.38	64
1 1 0	2.400	37.47	35
0 2 2	1.852	49.19	27
2 -1 2	2.069	43.75	26
2 1 2	1.466	63.44	23
0 1 1	3.704	24.02	21
1 0 4	1.832	49.77	20
1 1 4	1.555	59.45	19
0 0 2	4.082	21.77	14

---

# 2
Ag5TePO4: theoretical X-ray diffraction stick pattern (Cu Kα, 1.54184 Å), based on DFT lattice parameters and positions (PBE).

Crystal structure
Unit cell a=7.097 b=7.097 c=7.437 alpha=90.00 beta=90.00 gamma=90.00
Space group P4/nmm (No. 129, origin choice 2)
Symmetry-distinct sites (fractional):
Ag 0.028 0.028 0.200 [8 per cell]
Ag 0.250 0.250 0.464 [2 per cell]
Te 0.250 0.250 0.990 [2 per cell]
P 0.250 0.750 0.500 [2 per cell]
O 0.068 0.750 0.380 [8 per cell]

Top 10 peaks for 5 to 70 degrees two-theta, by intensity:
h k l	d (Å)	2theta	I/Imax
2 0 2	2.567	34.95	100
2 2 0	2.509	35.79	51
1 1 0	5.018	17.67	27
4 2 2	1.460	63.76	24
4 0 0	1.774	51.51	18
2 0 3	2.032	44.59	17
1 1 2	2.988	29.91	14
2 0 1	3.203	27.86	13
3 1 2	1.921	47.31	12
3 0 1	2.254	39.99	11

---

# 3
Ag4TeP2O14: theoretical X-ray diffraction stick pattern (Cu Kα, 1.54184 Å), based on DFT lattice parameters and positions (PBE).

Crystal structure
Unit cell a=5.702 b=18.513 c=6.711 alpha=90.00 beta=124.60 gamma=90.00
Space group P2_1/c (No. 14)
Symmetry-distinct sites (fractional):
Ag 0.080 0.180 0.433 [4 per cell]
Ag 0.251 0.063 0.121 [4 per cell]
Te 0.000 0.000 0.500 [2 per cell]
P 0.245 0.667 0.588 [4 per cell]
O 0.024 0.212 0.981 [4 per cell]
O 0.177 0.588 0.616 [4 per cell]
O 0.178 0.075 0.399 [4 per cell]
O 0.247 0.050 0.811 [4 per cell]
O 0.305 0.674 0.387 [4 per cell]
O 0.319 0.562 0.093 [4 per cell]
O 0.497 0.198 0.680 [4 per cell]

Top 10 peaks for 5 to 70 degrees two-theta, by intensity:
h k l	d (Å)	2theta	I/Imax
1 4 -1	3.513	25.35	100
1 0 0	4.694	18.91	58
1 0 -2	3.354	26.57	56
0 5 1	3.077	29.02	36
1 1 1	2.830	31.62	34
0 2 0	9.257	9.55	32
1 5 -1	3.053	29.25	30
1 1 -2	3.300	27.02	26
0 2 1	4.744	18.71	22
0 8 0	2.314	38.92	21

---

# 4
Tl2Ag3P3O12: theoretical X-ray diffraction stick pattern (Cu Kα, 1.54184 Å), based on DFT lattice parameters and positions (PBE).

Crystal structure
Unit cell a=13.119 b=13.440 c=6.876 alpha=90.00 beta=115.94 gamma=90.00
Space group C2/c (No. 15)
Symmetry-distinct sites (fractional):
Tl 0.227 0.154 0.150 [8 per cell]
Ag 0.000 0.018 0.250 [4 per cell]
Ag 0.000 0.286 0.250 [4 per cell]
Ag 0.000 0.500 0.000 [4 per cell]
P 0.000 0.280 0.750 [4 per cell]
P 0.235 0.102 0.632 [8 per cell]
O 0.050 0.214 0.957 [8 per cell]
O 0.087 0.353 0.727 [8 per cell]
O 0.144 0.424 0.323 [8 per cell]
O 0.161 0.005 0.612 [8 per cell]
O 0.171 0.160 0.413 [8 per cell]
O 0.227 0.170 0.811 [8 per cell]

Top 10 peaks for 5 to 70 degrees two-theta, by intensity:
h k l	d (Å)	2theta	I/Imax
2 4 0	2.919	30.62	100
4 0 0	2.951	30.29	81
1 3 -2	2.695	33.24	73
1 1 1	4.433	20.03	65
3 1 -2	3.118	28.63	47
2 2 -1	4.342	20.46	46
0 2 1	4.550	19.51	36
1 1 2	2.660	33.70	35
3 3 2	1.853	49.16	31
2 4 -1	2.893	30.91	31

---

# 5
Tl2AgP2O6: theoretical X-ray diffraction stick pattern (Cu Kα, 1.54184 Å), based on DFT lattice parameters and positions (PBE).

Crystal structure
Unit cell a=5.9700 b=5.9700 c=17.6789 alpha=90.00 beta=90.00 gamma=120.00
Space group R-3m (No. 166, hexagonal axes)
Symmetry-distinct sites (fractional):
Tl 0.0000 0.0000 0.2214 [6 per cell]
Ag 0.0000 0.0000 0.0000 [3 per cell]
P 0.0000 0.0000 0.4338 [6 per cell]
O 0.0425 0.5213 0.2506 [18 per cell]
'''
(Exercise)
Transcribe all of the listing above verbatim.
(Completed)
# 1
AgSbP2O8: theoretical X-ray diffraction stick pattern (Cu Kα, 1.54184 Å), based on DFT lattice parameters and positions (PBE).

Crystal structure
Unit cell a=4.8000 b=4.8000 c=8.1645 alpha=90.00 beta=90.00 gamma=120.00
Space group P-3 (No. 147)
Symmetry-distinct sites (fractional):
Ag 0.0000 0.0000 0.0000 [1 per cell]
Sb 0.0000 0.0000 0.5000 [1 per cell]
P 0.3333 0.6667 0.7195 [2 per cell]
O 0.0435 0.3491 0.6477 [6 per cell]
O 0.3333 0.6667 0.9029 [2 per cell]

Top 10 peaks for 5 to 70 degrees two-theta, by intensity:
h k l	d (Å)	2theta	I/Imax
0 1 2	2.913	30.70	100
1 0 0	4.157	21.38	64
1 1 0	2.400	37.47	35
0 2 2	1.852	49.19	27
2 -1 2	2.069	43.75	26
2 1 2	1.466	63.44	23
0 1 1	3.704	24.02	21
1 0 4	1.832	49.77	20
1 1 4	1.555	59.45	19
0 0 2	4.082	21.77	14

---

# 2
Ag5TePO4: theoretical X-ray diffraction stick pattern (Cu Kα, 1.54184 Å), based on DFT lattice parameters and positions (PBE).

Crystal structure
Unit cell a=7.097 b=7.097 c=7.437 alpha=90.00 beta=90.00 gamma=90.00
Space group P4/nmm (No. 129, origin choice 2)
Symmetry-distinct sites (fractional):
Ag 0.028 0.028 0.200 [8 per cell]
Ag 0.250 0.250 0.464 [2 per cell]
Te 0.250 0.250 0.990 [2 per cell]
P 0.250 0.750 0.500 [2 per cell]
O 0.068 0.750 0.380 [8 per cell]

Top 10 peaks for 5 to 70 degrees two-theta, by intensity:
h k l	d (Å)	2theta	I/Imax
2 0 2	2.567	34.95	100
2 2 0	2.509	35.79	51
1 1 0	5.018	17.67	27
4 2 2	1.460	63.76	24
4 0 0	1.774	51.51	18
2 0 3	2.032	44.59	17
1 1 2	2.988	29.91	14
2 0 1	3.203	27.86	13
3 1 2	1.921	47.31	12
3 0 1	2.254	39.99	11

---

# 3
Ag4TeP2O14: theoretical X-ray diffraction stick pattern (Cu Kα, 1.54184 Å), based on DFT lattice parameters and positions (PBE).

Crystal structure
Unit cell a=5.702 b=18.513 c=6.711 alpha=90.00 beta=124.60 gamma=90.00
Space group P2_1/c (No. 14)
Symmetry-distinct sites (fractional):
Ag 0.080 0.180 0.433 [4 per cell]
Ag 0.251 0.063 0.121 [4 per cell]
Te 0.000 0.000 0.500 [2 per cell]
P 0.245 0.667 0.588 [4 per cell]
O 0.024 0.212 0.981 [4 per cell]
O 0.177 0.588 0.616 [4 per cell]
O 0.178 0.075 0.399 [4 per cell]
O 0.247 0.050 0.811 [4 per cell]
O 0.305 0.674 0.387 [4 per cell]
O 0.319 0.562 0.093 [4 per cell]
O 0.497 0.198 0.680 [4 per cell]

Top 10 peaks for 5 to 70 degrees two-theta, by intensity:
h k l	d (Å)	2theta	I/Imax
1 4 -1	3.513	25.35	100
1 0 0	4.694	18.91	58
1 0 -2	3.354	26.57	56
0 5 1	3.077	29.02	36
1 1 1	2.830	31.62	34
0 2 0	9.257	9.55	32
1 5 -1	3.053	29.25	30
1 1 -2	3.300	27.02	26
0 2 1	4.744	18.71	22
0 8 0	2.314	38.92	21

---

# 4
Tl2Ag3P3O12: theoretical X-ray diffraction stick pattern (Cu Kα, 1.54184 Å), based on DFT lattice parameters and positions (PBE).

Crystal structure
Unit cell a=13.119 b=13.440 c=6.876 alpha=90.00 beta=115.94 gamma=90.00
Space group C2/c (No. 15)
Symmetry-distinct sites (fractional):
Tl 0.227 0.154 0.150 [8 per cell]
Ag 0.000 0.018 0.250 [4 per cell]
Ag 0.000 0.286 0.250 [4 per cell]
Ag 0.000 0.500 0.000 [4 per cell]
P 0.000 0.280 0.750 [4 per cell]
P 0.235 0.102 0.632 [8 per cell]
O 0.050 0.214 0.957 [8 per cell]
O 0.087 0.353 0.727 [8 per cell]
O 0.144 0.424 0.323 [8 per cell]
O 0.161 0.005 0.612 [8 per cell]
O 0.171 0.160 0.413 [8 per cell]
O 0.227 0.170 0.811 [8 per cell]

Top 10 peaks for 5 to 70 degrees two-theta, by intensity:
h k l	d (Å)	2theta	I/Imax
2 4 0	2.919	30.62	100
4 0 0	2.951	30.29	81
1 3 -2	2.695	33.24	73
1 1 1	4.433	20.03	65
3 1 -2	3.118	28.63	47
2 2 -1	4.342	20.46	46
0 2 1	4.550	19.51	36
1 1 2	2.660	33.70	35
3 3 2	1.853	49.16	31
2 4 -1	2.893	30.91	31

---

# 5
Tl2AgP2O6: theoretical X-ray diffraction stick pattern (Cu Kα, 1.54184 Å), based on DFT lattice parameters and positions (PBE).

Crystal structure
Unit cell a=5.9700 b=5.9700 c=17.6789 alpha=90.00 beta=90.00 gamma=120.00
Space group R-3m (No. 166, hexagonal axes)
Symmetry-distinct sites (fractional):
Tl 0.0000 0.0000 0.2214 [6 per cell]
Ag 0.0000 0.0000 0.0000 [3 per cell]
P 0.0000 0.0000 0.4338 [6 per cell]
O 0.0425 0.5213 0.2506 [18 per cell]